Female Political Prisoners To Serve Additional Two Years For “Insulting” Supreme Leader

Inserted here: quantum chemistry results:
# C16H17AuN2O6S2

A molecular structure, C16H17AuN2O6S2 (ωB97M-V/def2-TZVPD, the OMol25 dataset).

Geometry as ORCA input:
```
! wB97M-V def2-TZVPD RIJCOSX def2/J DEFGRID3
* xyz 0 3
Au 0.57127 0.03396 -0.15972
C -1.32117 -2.18985 3.12828
C -0.24337 -1.23253 2.67327
O 0.35158 -1.50859 1.63519
C 0.05130 -0.04155 3.48147
C -0.30611 -0.05940 4.84090
C -0.01485 0.98983 5.68023
C 0.63329 2.11169 5.15510
C 0.97675 2.16791 3.82487
C 0.70662 1.09416 2.96094
O 1.09203 1.23502 1.70328
H -1.61164 -2.79472 2.27446
H -2.18650 -1.66475 3.52972
H -0.93237 -2.84652 3.91039
H -0.80674 -0.92996 5.24335
H -0.28457 0.94551 6.72632
H 0.87028 2.94807 5.80125
H 1.47101 3.02989 3.39521
C -2.35737 -3.24872 -1.39522
C -2.02294 -1.77893 -1.43862
O -1.82557 -1.12173 -0.42817
N -1.95501 -1.22663 -2.67545
C -1.54241 0.14687 -2.90428
C -0.09560 0.24469 -3.32085
C 0.24494 0.75961 -4.55658
C 1.57772 0.78561 -4.93987
C 2.52722 0.26971 -4.08246
C 2.11255 -0.21014 -2.85337
N 0.83460 -0.21518 -2.46850
H -2.36773 -3.57429 -0.36039
H -1.60990 -3.82331 -1.94525
H -3.33187 -3.43737 -1.84801
H -2.03405 -1.83898 -3.47011
H -1.71822 0.70433 -1.98471
H -2.17159 0.57613 -3.68304
H -0.53097 1.13670 -5.20893
H 1.86519 1.20325 -5.89585
H 3.57839 0.26757 -4.33164
H 2.83155 -0.57616 -2.13464
O 2.52674 3.87664 -0.04984
S 2.03787 2.80005 -0.85953
O 2.68948 1.51663 -0.66868
O 1.68619 3.09687 -2.22962
S 0.03399 2.37861 -0.07093
*
```

## Properties
DFT total energy: -2112.8463 a.u.

* * * * *

No. 1
DFT (ωB97M-V/def2-TZVPD) results for C40H36Br2HgN7OS4 as an isolated structure.

```
91
Properties=species:S:1:pos:R:3:forces:R:3
Hg 0.6656 -0.9747 -1.3431 0.068 -0.173 0.328
S -0.7769 -1.6756 0.6294 -0.002 -0.050 0.016
C -0.5398 -0.2694 1.6852 -0.120 0.025 -0.080
N -1.2888 -0.3220 2.9114 0.215 -0.190 0.155
C -1.3647 0.8964 3.6720 0.006 0.072 -0.037
C 0.0149 1.5137 3.7467 0.052 -0.084 0.000
N 0.4195 1.8317 2.4061 0.018 -0.027 0.054
C 1.3309 2.9351 2.2135 -0.059 0.033 -0.084
C 0.7253 4.0591 1.3925 0.011 -0.006 -0.023
C 1.3876 4.5737 0.2864 0.015 0.031 0.011
C 0.8211 5.5917 -0.4702 -0.005 -0.010 0.000
C -0.4226 6.1031 -0.1301 -0.006 0.001 0.007
C -1.0963 5.5891 0.9718 0.004 0.001 -0.025
C -0.5244 4.5743 1.7232 -0.023 -0.033 -0.006
C 0.2980 0.7754 1.4495 -0.030 0.175 -0.075
S 1.3030 1.0468 0.0079 0.110 -0.156 -0.107
C -2.4642 -1.1585 3.0472 -0.170 0.135 -0.144
C -3.7445 -0.4914 2.5678 -0.010 -0.038 0.009
C -4.5698 0.1848 3.4608 -0.031 -0.016 0.008
C -5.7077 0.8516 3.0251 0.009 -0.001 0.002
C -6.0382 0.8490 1.6778 0.009 -0.017 0.000
C -5.2259 0.1712 0.7770 -0.008 0.007 -0.010
C -4.0907 -0.4942 1.2173 0.031 0.033 0.002
H -1.7490 0.6620 4.6707 0.033 -0.018 0.016
H -2.0422 1.6380 3.2171 -0.046 -0.014 0.045
H 0.6993 0.8051 4.2428 0.011 0.011 0.003
H -0.0167 2.4298 4.3402 -0.013 0.002 -0.006
H 2.2610 2.6185 1.7365 0.027 -0.010 0.054
H 1.5947 3.3160 3.2043 -0.024 0.035 -0.010
H 2.3387 4.1433 -0.0040 0.004 0.000 -0.005
H 1.3440 5.9706 -1.3397 0.003 0.002 -0.004
H -0.8714 6.8885 -0.7255 -0.009 -0.008 -0.009
The article goes on:
Political prisoners Atena Daemi and Golrokh Iraee Ebrahimi have been told they must serve an additional two years behind bars for making peaceful public statements criticizing Iranian state policies.
Imprisoned civil rights activist Atena Daemi and recently released political prisoner Golrokh Iraee Ebrahimi were informed that they must serve an additional 2.1 years in prison now that the Tehran Appeals Court upheld a joint sentence against them under the charges of “insulting the supreme leader” and “propaganda against the state.”
Daemi’s mother, Masoumeh Nemati, told the Center for Human Rights in Iran (CHRI) on September 5, 2019, that her daughter and Iraee were also banned from engaging in political and civil rights activities for two years.
In mid-July 2019, Judge Iman Afshari of Branch 26 of the Revolutionary Court in Tehran sentenced Daemi and Iraee to 3.7 years in prison for “insulting the supreme leader” (2.1 years) and “propaganda against the state” (1.6 years).
They must only serve an additional 2.1 years according to Article 134 of Iran’s Islamic Penal Code, which requires defendants to serve the maximum punishment for the charge that carries the longest sentence in cases involving multiple sentences.
“My daughter’s lawyer said the sentence was vindictive,” Daemi’s mother told CHRI. “On numerous occasions, Intelligence Ministry interrogators had threatened Atena that they would impose the maximum punishment against her and the judge went event beyond that.”
Imprisoned since October 2016, Daemi, a children’s rights activist, was serving a seven-year prison sentence before being told she would have to serve two more.
She was sentenced to prison for engaging in peaceful activities including meeting the families of political prisoners, criticizing the Islamic Republic of Iran on Facebook, and condemning the mass executions of political prisoners in Iran in 1988.
Iraee has been free on bail since April 2019 after serving 3.5 years of a six-year prison sentence primarily for writing an unpublished story about stoning in Iran. To date, she has not returned to Evin Prison in Tehran.
Her husband, civil rights activist Arash Sadeghi, has been serving a 15-year prison sentence for peaceful political activities since 2016 and is in poor health following a cancer operation last year.
Iraee and Daemi were issued the additional sentences for writing open letters criticizing prison conditions, condemning the executions of political prisoners including Ramin Hossein Panahi, Zanyar Moradi and Loghman Moradi and for singing the revolutionary anthem “Oh Martyr” in honor of the executed prisoners, which the court said was an insult to Supreme Leader Ali Khamenei.
Nemati also told CHRI that she has not been allowed to visit her daughter in prison since March 2019.
Daemi meanwhile continues to be denied medical tests and treatment for a lump in her breast found during a hospital visit months ago.
Political prisoners in Iran, including elderly inmates, are singled out for harsh treatment, which often includes denial of medical care. The threat of withheld medical care has also been used as an intimidation tool against prisoners who have challenged the authorities or filed complaints.
Read this article in Persian.